Activity:
Type out everything further down verbatim.

Source:
+++
Entry from Alexandria via LeMat-Bulk: crystalline Pm3SbO at its relaxed geometry (GGA-PBE).

a = 4.9134 Å, b = 4.9134 Å, c = 4.9134 Å
α = 90.00°, β = 90.00°, γ = 90.00°
Sites, in units of the cell vectors:
1 Pm 0.0000 0.0000 0.5000
2 Pm 0.0000 0.5000 0.0000
3 Pm 0.5000 0.0000 0.0000
4 Sb 0.5000 0.5000 0.5000
5 O 0.0000 0.0000 0.0000

The calculation puts the density of states at the Fermi level at 4.8 states/eV per cell. As for the volume: 23.723 Å³/atom. As for the electronic total energy: -30.76 eV per cell. For the energy above the lowest structure with this stoichiometry, the calculation gives 0.0000 eV per atom. The space group is No. 221. The value obtained for the raw formation energy is -1.49 eV per atom.

***

Entry from Alexandria via LeMat-Bulk: crystalline PIrRu2 at its relaxed geometry (GGA-PBE).

a = 5.5994 Å, b = 7.0658 Å, c = 2.7843 Å
α = 90.00°, β = 90.00°, γ = 90.00°
Sites, in units of the cell vectors:
1 P 0.0000 0.0000 0.0000
2 P 0.5000 0.5000 0.0000
3 Ir 0.0000 0.5000 0.0000
4 Ir 0.5000 0.0000 0.0000
5 Ru 0.2500 0.2500 0.5000
6 Ru 0.2500 0.7500 0.5000
7 Ru 0.7500 0.2500 0.5000
8 Ru 0.7500 0.7500 0.5000

The calculation puts the density of states at the Fermi level at 10.5 states/eV per cell. As for the volume: 13.770 Å³/atom. The formation energy comes out at 46 kJ/mol of formula units. As for the electronic total energy: -64.69 eV per cell. The space group is No. 65.
+++

Response:
Entry from Alexandria via LeMat-Bulk: crystalline Pm3SbO at its relaxed geometry (GGA-PBE).

a = 4.9134 Å, b = 4.9134 Å, c = 4.9134 Å
α = 90.00°, β = 90.00°, γ = 90.00°
Sites, in units of the cell vectors:
1 Pm 0.0000 0.0000 0.5000
2 Pm 0.0000 0.5000 0.0000
3 Pm 0.5000 0.0000 0.0000
4 Sb 0.5000 0.5000 0.5000
5 O 0.0000 0.0000 0.0000

The calculation puts the density of states at the Fermi level at 4.8 states/eV per cell. As for the volume: 23.723 Å³/atom. As for the electronic total energy: -30.76 eV per cell. For the energy above the lowest structure with this stoichiometry, the calculation gives 0.0000 eV per atom. The space group is No. 221. The value obtained for the raw formation energy is -1.49 eV per atom.

***

Entry from Alexandria via LeMat-Bulk: crystalline PIrRu2 at its relaxed geometry (GGA-PBE).

a = 5.5994 Å, b = 7.0658 Å, c = 2.7843 Å
α = 90.00°, β = 90.00°, γ = 90.00°
Sites, in units of the cell vectors:
1 P 0.0000 0.0000 0.0000
2 P 0.5000 0.5000 0.0000
3 Ir 0.0000 0.5000 0.0000
4 Ir 0.5000 0.0000 0.0000
5 Ru 0.2500 0.2500 0.5000
6 Ru 0.2500 0.7500 0.5000
7 Ru 0.7500 0.2500 0.5000
8 Ru 0.7500 0.7500 0.5000

The calculation puts the density of states at the Fermi level at 10.5 states/eV per cell. As for the volume: 13.770 Å³/atom. The formation energy comes out at 46 kJ/mol of formula units. As for the electronic total energy: -64.69 eV per cell. The space group is No. 65.